Desreta Jackson was NINE?

When Desreta Jackson (who plays Young Celie) shot this in, what, 1984? She was nine. NINE. I just looked it up. My mind. Is. BLOWN.
I thought she was like 17 or something, or older! That is crazy! I'm going to have to go back and re-watch the birth scene and the separation scene and marvel in stupefaction.



How can that be. The girl who played Nettie was 19



Interesting that the little girl from that movie last year got an Oscar nom for Best Actress when she kinda just ran around doing no acting whatsoever, while 30 years ago Desreta probably did the best acting any 9 year old has ever done, and didn't even get acknowledged.
What a world we live in now. Ha.




^^^ Beasts of the Souther Wild.




@chuckyfan201 I agree she looked the part. I had no idea she was only nine!

Is thus accurate? If so wow!

As for Glover being on top. yeah that does make you wonder. But the way movies are shot and all that they can do (even though I believe more different stuff is done today due to modern tech) he might have not really been on top LOL...I don't know how to explain it. I just read somewhere there is different techniques used in filming.



Yeah I see your point now that I think back to that scene.

I guess I was just hoping he was NOT lol...but now and days, they do so many tricky things when filming that I figured this was the case with that scene.

eeewww. lol just me but ok, (just seems even if it is acting you do have to wonder how he felt about that scene.




Seriously, her DOB must be messed up or incorrect.


She was not 9 yrs old. A lot of these sites that list people's ages are incorrect. She looked at least 15 yrs old but I believe that she was at least 18 because if not then, I think that sex scene would qualify as child pornography.

Happy 2014!!!

Arimas, Samira


It still says on wiki that she was born in 1975.
And given she played a 'teenage' girl in Sister Act in 1992 I think that she probably was 9. Disturbing though.

These data records were left in the article by mistake >
-- begin --
Calculated XRD peak list
Compound: Sm3GaTe
Radiation: Cu Kα X-rays
Structure: a GGA-PBE-relaxed structure
Intensities are scaled so that the largest is 100.

Crystal structure
```
Sm3GaTe
1.0
3.5955 2.0759 7.6672
-3.5955 2.0759 7.6672
0.0000 -4.1517 7.6672
Sm Ga Te
6 2 2
direct
0.0928 0.4622 0.6993
0.3007 0.5378 0.9072
0.4622 0.6993 0.0928
0.5378 0.9072 0.3007
0.6993 0.0928 0.4622
0.9072 0.3007 0.5378
0.3315 0.3315 0.3315
0.6685 0.6685 0.6685
0.1497 0.1497 0.1497
0.8503 0.8503 0.8503
```

Main lines, low angle first (2θ = 10–90°):
2θ = 23.20°, intensity 12.7; 2θ = 24.76°, intensity 53.1; 2θ = 34.19°, intensity 100.0; 2θ = 43.60°, intensity 26.6; 2θ = 54.23°, intensity 13.2; 2θ = 56.54°, intensity 14.1
-- stop --



Wow I thought she was older too. It saddens me she didn't get the success she should have cause she nailed that role. I suspect it had to do with her dark skin and features.... She kinda touched on this in an interview. What really disturbed me is Whoopi Goldberg apparently didn't like her and didn't treat her too kindly on the set because she felt she should have played young and old Celie. Desreta touched on this too. She said Oprah shielded her from getting hurt by Whoopi. Shame on you Whoopi.....I hope you apologized to this young woman....especially if she was 9 at the time. Desreta, in my mind, you deserved an Oscar and I hope you'll get the appropriate recognition soon.


It's one of the most overlooked performance ever, she gets no credit for such a great job.




She wasn't nine, she was thirteen when she was casted. So her birth year would probably be in either 1970 or 1971. son/


Yes, the dates must be wrong. Anyways she grew up to be very pretty.


I think she was 18.I remember imdb had her birth year as 66 then it was removed.
